Aligning With the Holy Spirit for Revival
Step #1, Then Step #2
by JRP Ministry Staff on 06/26/20
Video Overview of Judgments Coming to California
by JRP Ministry Staff on 06/24/20Please follow the link to this video - Judgment Coming to California
Judgment Coming to California
by JRP Ministry Staff on 06/23/20
On June 20, 2020 I released a prophetic vision concerning the Lord’s intention to bring judgment to Los Angeles, CA. In January 2014 I released a prophetic word where I wrote the following concerning San Francisco:
I saw the foot of the Lord (that covered multiple states) with His heel upon California and His foot pointing due east. An earthquake resulted with its greatest power exerted in what appeared to be the San Francisco region. The earthquake stretched across the entire U.S. from West to East. The effects of the earthquake, or the news of the devastation, would be felt as far as the East coast. [MCB1] At a minimum, the judgment that falls on the West coast will be a sign for those on the East coast. It is a message for Americans everywhere to repent! (Ex 19:18; I S 14:15; Zec 14:3-4; Mt 27:51, 28:2; Ac 16:26; Re 6:12; 8:5; 11:13)
Tonight, the Lord repeated His intention to bring judgment upon Los Angeles and San Francisco. The sin of California has come up before the Lord. His judgment will come through an earthquake off the coast bringing a mighty tidal wave of judgment. This will be far greater in intensity in comparison to the two other recent judgments that He has already released against America in the form of Covid-19 and racial turmoil. He intends to bring His judgment to all of California, from the north to the south. No part of the state will be unaffected. He is coming in great wrath and vengeance.I then heard the Lord say, “Those that have resisted My Spirit, will see mighty demonstrations of My power” (Ex 3:19-22, Ch. 5; 7:3-5, 13-23; Chapters 8-12; 14:13-21; I Kg 18:36-39; Mt 27:54; Jn 20:28; Ac 9:1-19; Rev 11:3-13). [Please note that the Lord has revealed His intention to bring judgment upon Church pastors and leaders who resist His Spirit as He moves to minister to His people in power.]
He will root out the sin of the wicked of California like a person turning over every rock to find a snake. Californians, you are being warned; if you do not turn and repent of your wickedness, great judgment is coming from the Lord. The Lord has tried to reach you, but you have refused His voice. Time and again, the Lord reached out His hand to you, but you refused to listen. Now, He will bring judgment unless you will turn! There is still time!
I then asked the Lord, “What should I pray?!” The Lord replied, “Nothing! Only lament.”
Mark Biteler
Judgment Coming to Los Angeles, CA
by JRP Ministry Staff on 06/20/20
In a vision this morning, I was following the Lord as He walked to a column of military vehicles including tanks and trucks. He then walked to the head of the column. He then pointed to an area where the vehicles were to be stationed and would begin their assault.
He then pointed to a city that was to be attacked. He said, "I will bring My judgment against this city because they have not responded to Me." I asked, "What city is it, Lord?" He then revealed the letters -- L.A.
The Lord has been saying that He would bring His judgments upon the major metropolitan cities, moving from west to east. Years ago, He revealed that He would place His heal upon San Francisco - the judgment there will be very severe.
Misplaced crystal structures:
********
First-principles (PBE) data for ScCdSb2 after structural relaxation, as listed in the Alexandria database.

abc: 6.1493 6.1493 6.1493
angles: 139.51 139.44 58.65
Element x y z (fractional)
Sc 0.0000 0.0000 0.0000
Cd 0.7494 0.2494 0.5000
Sb 0.2517 0.7517 0.5000
Sb 0.5006 0.5006 0.0000

The calculation puts the uncorrected formation energy at -30.87 kJ per mole of atoms. Its volume is 97.3 Å³/f.u. The value obtained for the size of the total moment is 0.0 μB per formula unit.

~~~~~

1.
# HfMnIO2, relaxed, DFT PBE+U
data_HfMnIO2
_chemical_formula_sum 'Hf1 Mn1 I1 O2'
_space_group_name_H-M_alt 'P 4/m m m'
_space_group_IT_number 123
_space_group_name_Hall '-P 4 2'
_cell_length_a 4.093
_cell_length_b 4.093
_cell_length_c 6.091
_cell_angle_alpha 90.00
_cell_angle_beta 90.00
_cell_angle_gamma 90.00
loop_
_atom_site_label
_atom_site_type_symbol
_atom_site_fract_x
_atom_site_fract_y
_atom_site_fract_z
Hf1 Hf 0.000 0.000 0.000
Mn1 Mn 0.500 0.500 0.500
I1 I 0.000 0.000 0.500
O1 O 0.000 0.500 0.000
# Excess energy over the best structure of this formula in the dataset (meV/atom): 0
# Size of the total moment (μB/f.u.): 4.9
# Mass density (g/cm³): 6.38

2.
# V2MoO8, relaxed, DFT PBE+U
data_V2MoO8
_chemical_formula_sum 'V4 Mo2 O16'
_space_group_name_H-M_alt 'C 1 m 1'
_space_group_IT_number 8
_space_group_name_Hall 'C -2y'
_cell_length_a 19.057
_cell_length_b 3.701
_cell_length_c 4.501
_cell_angle_alpha 90.00
_cell_angle_beta 90.43
_cell_angle_gamma 90.00
loop_
_atom_site_label
_atom_site_type_symbol
_atom_site_fract_x
_atom_site_fract_y
_atom_site_fract_z
V1 V 0.000 0.000 0.000
V2 V 0.121 0.500 0.217
Mo1 Mo 0.311 0.500 0.200
O1 O 0.019 0.500 0.096
O2 O 0.101 0.000 0.119
O3 O 0.123 0.500 0.575
O4 O 0.212 0.500 0.113
O5 O 0.310 0.000 0.101
O6 O 0.311 0.500 0.581
O7 O 0.410 0.500 0.115
O8 O 0.496 0.500 0.642
# Excess energy over the best structure of this formula in the dataset (meV/atom): 0
# Size of the total moment (μB/f.u.): 0.0
# Mass density (g/cm³): 3.41
********
We are now seeing judgment released upon Seattle and Portland. We will see the Lord move in great judgment through our land, because neither the country nor the American Church will not repent of sin against the Holy Spirit. Leaders of the Church refuse to tell the truth to the flock that judgment has been released, therefore, more is coming.
We are experiencing overlapping judgments. First the plague of Covid-19, second, war in the form of racial violence. The coming destruction of other major metropolitan cities will cause many to say, "It looks as if there has been a war here."
It is time for the Church to turn and lead America in repentance. Why will you die, America?!
Mark Biteler
I Am Getting Ready to Roar
by JRP Ministry Staff on 06/20/20
Received this word on Tuesday, June 9, 2020 in two pieces. I wrote it down and felt that today was the day to release it:
I saw a lion’s mane – I was very close to the mane.
“I am the Lion of the Tribe of Judah and I am getting ready to roar.”
**Someone pasted materials data at this point**
Compound: Li3ICl
Source: Alexandria
Functional: PBE-GGA
Structure: optimized geometry

Geometry as extended XYZ:
```
5
Lattice="-0.883 -1.505 4.998 -2.126 -4.525 -1.738 4.766 -2.298 0.151" Properties=species:S:1:pos:R:3 pbc="T T T"
Li -1.063 -2.263 -0.869
Li -0.442 -0.752 2.499
Li 2.383 -1.149 0.075
Cl 0.878 -4.164 1.705
I 0.000 0.000 0.000
```

calculated total energy: -12.13 eV for the cell shown
mass density: 2.051 g cm⁻³
energy above the lowest structure with this stoichiometry: 0.299 eV/atom
formation energy without anion corrections: -0.597 eV/atom

* * * * *

VASP calculation (GGA-PBE) on a relaxed ErAl2AgAu2 crystal.

* volume: 18.98 Å³/atom
* spin magnetization: 0.000 μB per cell
* energy relative to the elements: -0.5563 eV/atom

Cell lengths 4.470, 4.470, 6.580 Å; angles 90.00, 90.00, 120.00 degrees
Element x y z (fractional)
Er  0.000  0.000  0.000
Al  0.333  0.667  0.689
Al  0.667  0.333  0.311
Ag  0.000  0.000  0.500
Au  0.333  0.667  0.254
Au  0.667  0.333  0.746

---

VASP calculation (GGA-PBE) on a relaxed PaTaNi6 crystal.

* volume: 14.89 Å³/atom
* spin magnetization: 0.000 μB per cell
* energy relative to the elements: 0.0100 eV/atom

Cell lengths 4.962, 4.962, 4.962 Å; angles 82.24, 82.24, 82.24 degrees
Element x y z (fractional)
Pa  0.000  0.000  0.000
Ta  0.500  0.500  0.500
Ni  0.020  0.654  0.654
Ni  0.346  0.346  0.980
Ni  0.346  0.980  0.346
Ni  0.654  0.020  0.654
Ni  0.654  0.654  0.020
Ni  0.980  0.346  0.346

---

VASP calculation (GGA-PBE) on a relaxed LiAc6Ru2I3 crystal.

* volume: 37.46 Å³/atom
* spin magnetization: 0.000 μB per cell

Cell lengths 7.681, 7.681, 9.164 Å; angles 98.03, 98.03, 120.00 degrees
Element x y z (fractional)
Li  0.000  0.000  0.000
Ac  0.064  0.431  0.190
Ac  0.304  0.304  0.811
Ac  0.431  0.064  0.190
Ac  0.569  0.936  0.810
Ac  0.696  0.696  0.189
Ac  0.936  0.569  0.810
Ru  0.333  0.667  0.000
Ru  0.667  0.333  0.000
I  0.164  0.836  0.500
I  0.500  0.500  0.500
I  0.836  0.164  0.500

---

VASP calculation (GGA-PBE) on a relaxed La8DyEr3 crystal.

* volume: 37.27 Å³/atom
* spin magnetization: 0.000 μB per cell
* energy relative to the elements: 0.3337 eV/atom

Cell lengths 8.855, 8.855, 8.855 Å; angles 135.84, 101.31, 94.97 degrees
Element x y z (fractional)
La  0.092  0.248  0.841
La  0.225  0.727  0.011
La  0.283  0.273  0.498
La  0.407  0.251  0.159
La  0.593  0.752  0.844
La  0.717  0.215  0.989
La  0.775  0.785  0.502
La  0.908  0.749  0.156
Dy  0.500  0.500  0.000
Er  0.000  0.000  0.000
Er  0.236  0.736  0.500
Er  0.764  0.264  0.500

---

VASP calculation (GGA-PBE) on a relaxed La8CoAg2 crystal.

* volume: 32.01 Å³/atom
* spin magnetization: 0.000 μB per cell
* energy relative to the elements: -0.0961 eV/atom
* relative energy among the computed polymorphs: 0.000 eV/atom

Cell lengths 9.716, 9.716, 9.377 Å; angles 95.44, 95.44, 23.55 degrees
Element x y z (fractional)
La  0.006  0.006  0.201
La  0.215  0.215  0.344
La  0.348  0.348  0.991
La  0.410  0.410  0.484
There is darkness coming. I am calling my people to stand. Stand. I say it again, STAND! Proclaim what I give you. Focus on me. Great darkness is coming and you need to focus on me. I say it again: Focus on me.
Later: Tongue and interpretation
Have I not told you I am getting ready to roar? I am getting ready to roar.
I am getting ready to roar and I am getting ready to roll – as the waves roll in – in the hurricane and the storm surge is often the worst part – I am getting ready to roll and I am getting ready to surge.
There is a great coming in of my power, a great coming in of my glory, a great coming in of my wrath – I am coming in and I am washing clean – as the storm surge comes and disrupts. As a storm surge comes and uproots – as a storm surge comes and invades. It discombobulates everything – that is the season you are getting ready to go into – things are going to be discombobulated, things are going to seem crazy and you need to focus on me. Stay alert and focus on me. FOCUS ON ME!
Yes I told you – I told you – I told you on that day – that I could change the landscape in an instant and yes, I will change the landscape in an instant. I will uproot. I will dislodge, I will remove the things from high places – I will remove the despots, I will remove. I will uproot and I will remove.
I am coming in like a mighty rushing wind. Many have prayed that I would do it again but they do not know for what they are asking.
I hear the following words: Dislodge. Uproot. Change the landscape in an instant.
April D. Turner
Seattle is Our Fort Sumter
by JRP Ministry Staff on 06/17/20Seattle is our Fort Sumter. The Communist Left has declared war. This is civil war and unless it is treated as such it will spread. Give the devil an inch and he will take the city, the state and then the nation. We are at war.
Judgment Falls on the Guilty, Not the Ignorant
by JRP Ministry Staff on 06/13/20There are a few times when I have shared with those in ministry what the Lord has been saying about judgment coming to the Church, including Church leaders, that they respond with, "What about those who just don't know any better? They may only be following others or what they have been taught. What about the pastor of the small church in the country who is doing all he or she can with the limited resources they have? Will the Lord bring judgment to them as well?
Judgment – Destruction for Major U.S. Cities & the Lord Rebukes Pastors
by JRP Ministry Staff on 06/11/20
China will be a Nation of Peace
by JRP Ministry Staff on 06/11/20
Judgment #2: A Man on a Red Horse – From Peace to War
by JRP Ministry Staff on 06/10/20
Due to illness, I have not been able to share the following prophetic vision until now.
In a vision from the Lord in the presence of a witness, the evening of May 23, 2020 (two days before George Floyd died), I saw a rider on a horse. The image is found in Zachariah 1:8 of a man sitting on a red horse. He reported that he had patrolled the earth and it was peaceful and quiet (vs 11). I then saw the rider move forward a short distance and then turned and doubled back in front of me. The Spirit made it clear that the horse and rider were moving from one season to another.
== Materials data that have nothing to do with the page ==
........
CsRuC2: relaxed, PBE.

The structure in POSCAR format:
```
CsRuC2
1.0
0.000 4.366 4.366
4.366 0.000 4.366
4.366 4.366 0.000
Cs Ru C
2 2 4
direct
0.125 0.125 0.125
0.875 0.875 0.875
0.375 0.375 0.375
0.625 0.625 0.625
0.000 0.500 0.500
0.500 0.000 0.500
0.500 0.500 0.000
0.500 0.500 0.500
```

Summary:
E = -6.521 eV/atom
crystal system = cubic
SG = Fd-3m
DFT formation energy = 0.6233 eV/atom
magnetic moment = 0.000 μB per formula unit
density = 5.15 g cm⁻³

***

CsRuC3: relaxed, PBE.

The structure in POSCAR format:
```
CsRuC3
1.0
4.179 0.000 0.000
0.000 4.179 0.000
0.000 0.000 4.179
Cs Ru C
1 1 3
direct
0.000 0.000 0.000
0.500 0.500 0.500
0.000 0.500 0.500
0.500 0.000 0.500
0.500 0.500 0.000
```

Summary:
E = -5.565 eV/atom
crystal system = cubic
ΔE to the lowest computed polymorph = 0.0000 eV per atom
SG = Pm-3m
DFT formation energy = 1.9950 eV/atom
magnetic moment = 2.252 μB per formula unit
density = 6.14 g cm⁻³

***

CsRu3C: relaxed, PBE.

The structure in POSCAR format:
```
CsRu3C
1.0
4.280 0.000 0.000
0.000 4.280 0.000
0.000 0.000 4.280
Cs Ru C
1 3 1
direct
0.000 0.000 0.000
0.000 0.500 0.500
0.500 0.000 0.500
0.500 0.500 0.000
0.500 0.500 0.500
```

Summary:
E = -6.284 eV/atom
crystal system = cubic
ΔE to the lowest computed polymorph = 0.0000 eV per atom
SG = Pm-3m
DFT formation energy = 1.2966 eV/atom
magnetic moment = 0.000 μB per formula unit
density = 9.49 g cm⁻³

***

CsTiRuC2: relaxed, PBE.

The structure in POSCAR format:
```
CsTiRuC2
1.0
4.226 0.000 0.000
0.000 4.226 0.000
0.000 0.000 4.949
Cs Ti Ru C
1 1 1 2
direct
0.000 0.000 0.000
0.500 0.500 0.500
0.500 0.500 0.000
0.000 0.500 0.500
0.500 0.000 0.500
```

Summary:
E = -5.478 eV/atom
crystal system = tetragonal
SG = P4/mmm
DFT formation energy = 1.8166 eV/atom
magnetic moment = 0.000 μB per formula unit
density = 5.75 g cm⁻³

***

Cs2ZrRuC: relaxed, PBE.

The structure in POSCAR format:
```
Cs2ZrRuC
1.0
6.764 0.000 0.000
0.000 6.764 0.000
0.000 0.000 3.745
Cs Zr Ru C
2 1 1 1
direct
0.000 0.500 0.000
0.500 0.000 0.000
0.000 0.000 0.500
0.500 0.500 0.000
0.500 0.500 0.500
```

Summary:
E = -4.147 eV/atom
crystal system = tetragonal
SG = P4/mmm
DFT formation energy = 1.6038 eV/atom
magnetic moment = 3.052 μB per formula unit
density = 4.56 g cm⁻³

***

CsCS2: relaxed, PBE.

The structure in POSCAR format:
```
CsCS2
1.0
4.804 0.000 0.000
0.004 5.370 0.000
2.400 2.468 5.614
Cs C S
1 1 2
direct
0.000 0.000 0.000
0.444 0.425 0.114
0.321 0.473 0.360
0.589 0.583 0.823
```

Summary:
E = -4.671 eV/atom
crystal system = triclinic
formation energy without anion corrections = -0.0878 eV per atom
SG = P1
magnetic moment = 1.000 μB per formula unit
density = 2.40 g cm⁻³

***

Which of these has the highest density? CsRu3C

***

density of number 1 (CsRuC2)? 5.15 g cm⁻³


## TaTl2Se2F4 (PBE)

Data for a relaxed TaTl2Se2F4 crystal.

Cell: 7.1510 7.1510 5.4820 Å, 92.65 92.65 49.85°
Atoms (fractional coordinates):
Ta: 0.0000 0.0000 0.0000
Tl: 0.3051 0.3051 0.7655
Tl: 0.6949 0.6949 0.2345
........
== The materials data stop here ==
There is another man riding a red horse described in Revelation 6:3-4. In this instance, the seals are being broken by the Lamb of God, Jesus Christ. The rider was given the power to take peace from the earth and to bring war between men (Rev 6:4). This represents the second season that we, America, are now in.
The Lord was saying that we have moved from a time of relative peace to that of war. We have been in a state of war since the death of George Floyd, resulting in pointless injuries, death, violence, and destruction. The violence and war in the cities we have witnessed across America is judgment released from the Lord.
I have consistently preached that if Church leaders did not preach the truth that the Church and America were in judgment, leading in the repentance the Lord demands, that more judgment would be released – and so it has.
As quickly as Covid-19 circumvented the earth, the judgment of war in the form of violent protests that included injuries, death and destruction swept America. By June 1, 2020, approximately 40 cities imposed a curfew across the United States, with at least 15 states activating the National Guard.
More judgment is coming. I will release additional prophetic insights as I am able. The Lord is moving at an accelerated pace. I’m having a hard time keeping up with how fast He is moving.
How long will Church leaders deny that judgment has been released from the Lord?! How long will they refuse to lead the flock of Jesus Christ in repentance for not listening to the voice of the Holy Spirit?! The Church and its leaders are in denial and rebellion against the Lord and because of it, more judgment is coming, America!
Repent before you fall into the hands of the Lord who is bent on releasing His wrath on this country, His leaders, and His Church!
Mark Biteler